Zoe here, one of the instructors at PPF and former professional ballerina. I’ve written this blog to explain how barre classes can help strengthen the core.
Let’s first explain exactly what the core is and why it’s important to understand.
The core is made up of the transverse abdominis which is the deepest layer of abdominal muscles. It wraps horizontally around the whole torso and attaches to the bottom ribs and sternum all the way down to the pelvis.
Other very important pieces to the core include the diaphragm (a domed shaped muscle that sits below the heart and lunges), the pelvic floor (a group of hammock shaped muscles that support all internal organs) and the multifidus (tiny muscles that surround the spine to provide support to the discs)

All of these muscles contribute to making up the core. These muscles respond to breath, impact, load and movement. They are dynamic and provide the whole body with support.
It’s important to keep these guys in mind when thinking about abdominal activation – which is a whole other topic in itself!
So, coming back to if Barre classes are good for strengthening the core… In short, yes! Let’s discuss why.

Different postural changes
Barre classes are made up of dynamic movements (mostly in standing) including standing tall, side bending, rotation and forward hinging – all positions that the core will be activated in. This is a functional way of strengthening the core as many movements you will do in a barre class are closely related to everyday life movements such as bending down to pick up the groceries or rotating/side bending to get in and out of the car. Practicing this dynamic movements (focusing on form) in a barre class is one of the best ways to train the body and core for everyday activities!

Ballet inspired movements
Barre classes are inspired by ballet steps – I know this as I am a former professional ballerina. Ballet training is one of the best ways to work on posture as it trains all those deep muscles that make up the core in order to hold yourself in a certain way. Ballet trains the breath to match movements whilst maintaining grace and seemingly ‘easy’ movements – which I can tell you right now, Ballet is anything but easy!
Barre takes all these wonderful aspects of ballet so you too can improve posture and core strength. A lot of dancers actually choose to attend barre classes to help condition them for their chosen dance style which says it all!

[Materials data, as found in the file]
=====
Entry 1:
! BeNbFePb | OQMD | PBE | relaxed; values from VASP
! - SG: No. 216
! - E: -96.15 eV per cell
! - Total moment: 0.94 μB/f.u.
! - Crystal system: cubic
! - Mass density: 9.99 g cm⁻³
! - Volume: 242.6 Å³/cell
&SYSTEM
  ibrav = 0, nat = 16, ntyp = 4
/
ATOMIC_SPECIES
Be 9.01 Be.upf
Nb 92.91 Nb.upf
Fe 55.84 Fe.upf
Pb 207.20 Pb.upf
CELL_PARAMETERS angstrom
6.236 0.000 0.000
0.000 6.236 0.000
0.000 0.000 6.236
ATOMIC_POSITIONS crystal
Be 0.000 0.000 0.000
Be 0.000 0.500 0.500
Be 0.500 0.000 0.500
Be 0.500 0.500 0.000
Nb 0.250 0.250 0.750
Nb 0.250 0.750 0.250
Nb 0.750 0.250 0.250
Nb 0.750 0.750 0.750
Fe 0.000 0.000 0.500
Fe 0.000 0.500 0.000
Fe 0.500 0.000 0.000
Fe 0.500 0.500 0.500
Pb 0.250 0.250 0.250
Pb 0.250 0.750 0.750
Pb 0.750 0.250 0.750
Pb 0.750 0.750 0.250

Entry 2:
! Ni3Br | OQMD | PBE | relaxed; values from VASP
! - SG: No. 194
! - E: -32.46 eV per cell
! - Total moment: 1.79 μB/f.u.
! - Crystal system: hexagonal
! - Mass density: 7.46 g cm⁻³
! - Volume: 113.9 Å³/cell
&SYSTEM
  ibrav = 0, nat = 8, ntyp = 2
/
ATOMIC_SPECIES
Ni 58.69 Ni.upf
Br 79.90 Br.upf
CELL_PARAMETERS angstrom
5.885 0.000 0.000
-2.942 5.096 0.000
0.000 0.000 3.799
ATOMIC_POSITIONS crystal
Ni 0.145 0.290 0.250
Ni 0.145 0.855 0.250
Ni 0.290 0.145 0.750
Ni 0.710 0.855 0.250
Ni 0.855 0.145 0.750
Ni 0.855 0.710 0.750
Br 0.333 0.667 0.750
Br 0.667 0.333 0.250

Entry 3:
! HoLuAsO | OQMD | PBE | relaxed; values from VASP
! - SG: No. 26
! - E: -53.00 eV per cell
! - Total moment: 0.04 μB/f.u.
! - Crystal system: orthorhombic
! - Mass density: 8.10 g cm⁻³
! - Volume: 176.7 Å³/cell
&SYSTEM
  ibrav = 0, nat = 8, ntyp = 4
/
ATOMIC_SPECIES
Ho 164.93 Ho.upf
Lu 174.97 Lu.upf
As 74.92 As.upf
O 16.00 O.upf
CELL_PARAMETERS angstrom
4.059 0.000 0.000
0.000 7.607 0.000
0.000 0.000 5.723
ATOMIC_POSITIONS crystal
Ho 0.000 0.118 0.000
Ho 0.000 0.882 0.500
Lu 0.500 0.283 0.439
Lu 0.500 0.717 0.939
As 0.500 0.352 0.928
As 0.500 0.648 0.428
O 0.000 0.175 0.384
O 0.000 0.825 0.884

----------

# Dy4Ho3Er8

A relaxed Dy4Ho3Er8 crystal (PBE, Alexandria via LeMat-Bulk).

a = 9.173 Å, b = 9.173 Å, c = 6.646 Å
α = 111.23°, β = 111.23°, γ = 87.93°
Atoms (fractional coordinates):
Dy1 0.000 0.000 0.000
Dy2 0.000 0.000 0.500
Dy3 0.000 0.500 0.000
Dy4 0.500 0.000 0.000
Ho1 0.000 0.500 0.500
Ho2 0.500 0.000 0.500
Ho3 0.500 0.500 0.000
Er1 0.252 0.748 0.000
Er2 0.266 0.266 0.506
Er3 0.267 0.267 0.027
Er4 0.361 0.639 0.500
Er5 0.639 0.361 0.500
Er6 0.733 0.733 0.973
Er7 0.734 0.734 0.494
Er8 0.748 0.252 0.000

Calculated values
The calculation puts the relative energy among the computed polymorphs at 263 meV/atom. The calculation puts the energy at -4.170 eV/atom. The value obtained for the density of states at the Fermi level is 29.25 states/eV per cell. As for the volume: 482.9 Å³ per cell. For the formation energy, the calculation gives 9.37 kcal/mol of atoms.

----------

1.
InTcS2: optimized geometry, PBE.

Summary:
- Calculated volume: 83.6 Å³ per cell
- Spin magnetization: 0.59 μB/f.u.
=====

Extra abs at the end!
Not only will you be working on strengthening your core whilst standing in barre classes, we have a dedicated abdominals section at the end of class too! These are a set of exercises that are performed on the mat and related very closely to Matwork Pilates. These are specific exercises to strengthen not only the deep core, but also the obliques and rectus abdominis (6 pack muscles) for a full abdominal workout.

[Crystal structures, as found in the file]
Entry 1:
A geometry-optimized NaPrZnPt structure, computed with PBE-GGA.

Values from the calculation:
N(E_F) = 3.29 states/eV per cell
ΔH_f (0 K) = -1.54 eV/f.u.

Structure (extended XYZ):
```
4
Lattice="5.022 0.000 0.000 2.511 4.349 0.000 2.511 1.450 4.100" Properties=species:S:1:pos:R:3 pbc="T T T"
Pt 7.533 4.349 3.075
Na 5.022 2.899 2.050
Pr 0.000 0.000 0.000
Zn 2.511 1.450 1.025
```

***

Entry 2:
A geometry-optimized NaPr2Pu structure, computed with PBE-GGA.

Values from the calculation:
N(E_F) = 9.16 states/eV per cell
ΔH_f (0 K) = 0.75 eV/f.u.

Structure (extended XYZ):
```
4
Lattice="3.518 0.000 0.000 0.000 3.518 0.000 0.000 0.000 10.842" Properties=species:S:1:pos:R:3 pbc="T T T"
Na 1.759 1.759 5.421
Pu 1.759 1.759 0.000
Pr 0.000 0.000 2.450
Pr 0.000 0.000 8.392
```

***

Entry 3:
A geometry-optimized NaPr2PuS4 structure, computed with PBE-GGA.

Values from the calculation:
N(E_F) = 12.60 states/eV per cell
Uncorrected formation energy = -14.55 eV/f.u.

Structure (extended XYZ):
```
8
Lattice="-3.982 -0.206 -0.819 1.437 -0.471 -6.863 0.725 -6.784 -1.815" Properties=species:S:1:pos:R:3 pbc="T T T"
S -3.433 -1.979 -3.040
S -0.737 -2.133 -5.990
S -1.083 -5.328 -3.507
S 1.613 -5.482 -6.457
Pr 0.725 -6.784 -1.815
Pr -1.629 -3.495 -1.317
Pu -1.273 -0.339 -3.841
Na 1.081 -3.628 -4.339
```

----------

DFT (GGA-PBEsol) results for an optimized crystal structure of Er3Ge4.

Output
- E (eV/cell) = -161.7
- DFT formation energy (meV/atom) = -840

Cell and atoms, written as CIF:
```
data_Er3Ge4
_chemical_formula_sum 'Er12 Ge16'
_cell_length_a 3.959
_cell_length_b 10.471
_cell_length_c 13.991
_cell_angle_alpha 90.00
_cell_angle_beta 90.00
_cell_angle_gamma 90.00
_space_group_name_H-M_alt 'C m c m'
_space_group_IT_number 63
_space_group_name_Hall '-C 2c 2'
loop_
_atom_site_label
_atom_site_fract_x
_atom_site_fract_y
_atom_site_fract_z
Er1 0.000 0.045 0.250
Er2 0.000 0.330 0.097
Ge1 0.000 0.000 0.000
Ge2 0.000 0.226 0.750
Ge3 0.000 0.381 0.608
```
[Here the piece continues]

There are many different positions for strengthening the core. The instructor might get you in a supine position (laying on your back), 4-point kneeling position or even on your side. This the time to really hone in on how the breath influences the core activation and endurance. But don’t worry, the instructor will talk you through the breath pattern and what to specifically think about.